=====
--- P ---
Entry from Alexandria: a relaxed structure of Pm3Zn3Cu2 (PBE).

Cell: 5.4421 8.1108 15.5300 Å, 90.00 90.00 90.00°
Closest atoms and distances in Å follow each position.
Element x y z (fractional)
Pm1 0.3708 0.6814 0.7500  5 Zn 2.96-3.31, 4 Cu 3.13-3.22
Pm2 0.1277 0.4543 0.3943  3 Cu 2.95-3.14, 6 Zn 3.05-3.26
Pm3 0.3723 0.9543 0.3943  3 Cu 2.95-3.14, 6 Zn 3.05-3.26
Pm4 0.6277 0.0457 0.6057  3 Cu 2.95-3.14, 6 Zn 3.05-3.26
Pm5 0.6277 0.0457 0.8943  3 Cu 2.95-3.14, 6 Zn 3.05-3.26
Pm6 0.3723 0.9543 0.1057  3 Cu 2.95-3.14, 6 Zn 3.05-3.26
Pm7 0.8723 0.5457 0.8943  3 Cu 2.95-3.14, 6 Zn 3.05-3.26
Pm8 0.1292 0.1814 0.7500  5 Zn 2.96-3.31, 4 Cu 3.13-3.22
Pm9 0.1277 0.4543 0.1057  3 Cu 2.95-3.14, 6 Zn 3.05-3.26
Pm10 0.6292 0.3186 0.2500  5 Zn 2.96-3.31, 4 Cu 3.13-3.22
Pm11 0.8723 0.5457 0.6057  3 Cu 2.95-3.14, 6 Zn 3.05-3.26
Pm12 0.8708 0.8186 0.2500  5 Zn 2.96-3.31, 4 Cu 3.13-3.22
Zn1 0.3890 0.6833 0.9633  3 Cu 2.50-2.64
Zn2 0.8784 0.8376 0.7500  2 Cu 2.63
Zn3 0.1110 0.1833 0.9633  3 Cu 2.50-2.64
Zn4 0.8890 0.8167 0.0367  3 Cu 2.50-2.64
Zn5 0.8890 0.8167 0.4633  3 Cu 2.50-2.64
Zn6 0.6110 0.3167 0.0367  3 Cu 2.50-2.64
Zn7 0.1110 0.1833 0.5367  3 Cu 2.50-2.64
Zn8 0.1216 0.1624 0.2500  2 Cu 2.63
Zn9 0.6110 0.3167 0.4633  3 Cu 2.50-2.64
Zn10 0.3890 0.6833 0.5367  3 Cu 2.50-2.64
Zn11 0.3784 0.6624 0.2500  2 Cu 2.63
Zn12 0.6216 0.3376 0.7500  2 Cu 2.63
Cu1 0.3784 0.3951 0.8932  4 Zn 2.50-2.64
Cu2 0.8784 0.1049 0.1068  4 Zn 2.50-2.64
Cu3 0.3784 0.3951 0.6068  4 Zn 2.50-2.64
Cu4 0.8784 0.1049 0.3932  4 Zn 2.50-2.64
Cu5 0.6216 0.6049 0.3932  4 Zn 2.50-2.64
Cu6 0.1216 0.8951 0.8932  4 Zn 2.50-2.64
Cu7 0.6216 0.6049 0.1068  4 Zn 2.50-2.64
Cu8 0.1216 0.8951 0.6068  4 Zn 2.50-2.64

Output
M_tot (μB per formula unit): 0.00
SG: Pnma (62)
Volume (Å³ per atom): 21.422

--- Q ---
Entry from Alexandria: a relaxed structure of Pm3Zn3Cu2 (PBE).

Cell: 4.5152 5.5199 15.0381 Å, 90.00 90.00 114.14°
Closest atoms and distances in Å follow each position.
Element x y z (fractional)
Zn1 0.3833 0.7665 0.5401  3 Cu 2.57-2.79, 1 Zn 2.64
Zn2 0.6167 0.2335 0.4599  3 Cu 2.57-2.79, 1 Zn 2.64
Zn3 0.3173 0.6346 0.2500  2 Cu 2.56
Zn4 0.6827 0.3654 0.7500  2 Cu 2.56
Zn5 0.6167 0.2335 0.0401  3 Cu 2.57-2.79, 1 Zn 2.64
Zn6 0.3833 0.7665 0.9599  3 Cu 2.57-2.79, 1 Zn 2.64
Pm1 0.0963 0.1926 0.6051  4 Cu 2.99-3.24, 7 Zn 3.05-3.26
Pm2 0.9037 0.8074 0.3949  4 Cu 2.99-3.24, 7 Zn 3.05-3.26
Pm3 0.0963 0.1926 0.8949  4 Cu 2.99-3.24, 7 Zn 3.05-3.26
Pm4 0.6133 0.2265 0.2500  5 Zn 2.98-3.16, 4 Cu 3.32
Pm5 0.9037 0.8074 0.1051  4 Cu 2.99-3.24, 7 Zn 3.05-3.26
Pm6 0.3867 0.7735 0.7500  5 Zn 2.98-3.16, 4 Cu 3.32
Cu1 0.2003 0.4005 0.0991  4 Zn 2.56-2.79
Cu2 0.7997 0.5995 0.9009  4 Zn 2.56-2.79
Cu3 0.7997 0.5995 0.5991  4 Zn 2.56-2.79
Cu4 0.2003 0.4005 0.4009  4 Zn 2.56-2.79

Output
M_tot (μB per formula unit): 0.00
SG: Cmcm (63)
Volume (Å³ per atom): 21.376

Energies in eV/atom, measured from the most stable structure: P 0.014; Q 0.000.

--- P ---
Entry from Alexandria: a relaxed structure of Pm2Zn2Cu3 (PBE).

Cell: 4.0855 7.2263 9.3389 Å, 90.00 102.63 90.00°
Closest atoms and distances in Å follow each position.
Element x y z (fractional)
Cu1 0.4418 0.5761 0.8836  2 Cu 2.39-2.51, 1 Zn 2.61
Cu2 0.2281 0.7500 0.4562  6 Zn 2.55-2.69
Cu3 0.5582 0.0761 0.1164  2 Cu 2.39-2.51, 1 Zn 2.61
Cu4 0.4418 0.9239 0.8836  2 Cu 2.39-2.51, 1 Zn 2.61
Cu5 0.5582 0.4239 0.1164  2 Cu 2.39-2.51, 1 Zn 2.61
Cu6 0.7719 0.2500 0.5438  6 Zn 2.55-2.69
Zn1 0.3095 0.4392 0.6191  4 Cu 2.55-2.69, 1 Zn 2.73
Zn2 0.6905 0.5608 0.3809  4 Cu 2.55-2.69, 1 Zn 2.73
Zn3 0.6905 0.9392 0.3809  4 Cu 2.55-2.69, 1 Zn 2.73
Zn4 0.3095 0.0608 0.6191  4 Cu 2.55-2.69, 1 Zn 2.73
Pm1 0.1520 0.2500 0.3041  6 Cu 2.95-2.99, 6 Zn 3.12-3.18
Pm2 0.0606 0.7500 0.1213  9 Cu 3.05-3.23, 4 Zn 3.41
Pm3 0.9394 0.2500 0.8787  9 Cu 3.05-3.23, 4 Zn 3.41
Pm4 0.8480 0.7500 0.6959  6 Cu 2.95-2.99, 6 Zn 3.12-3.18

Output
M_tot (μB per formula unit): 0.00
SG: Cmcm (63)
Volume (Å³ per atom): 19.217

--- Q ---
=====

It remains to find "Zn3 0.1110" and "Zn6 0.3833" in the data earlier on, and restate these two lines and those between.

Zn3 0.1110 0.1833 0.9633  3 Cu 2.50-2.64
Zn4 0.8890 0.8167 0.0367  3 Cu 2.50-2.64
Zn5 0.8890 0.8167 0.4633  3 Cu 2.50-2.64
Zn6 0.6110 0.3167 0.0367  3 Cu 2.50-2.64
Zn7 0.1110 0.1833 0.5367  3 Cu 2.50-2.64
Zn8 0.1216 0.1624 0.2500  2 Cu 2.63
Zn9 0.6110 0.3167 0.4633  3 Cu 2.50-2.64
Zn10 0.3890 0.6833 0.5367  3 Cu 2.50-2.64
Zn11 0.3784 0.6624 0.2500  2 Cu 2.63
Zn12 0.6216 0.3376 0.7500  2 Cu 2.63
Cu1 0.3784 0.3951 0.8932  4 Zn 2.50-2.64
Cu2 0.8784 0.1049 0.1068  4 Zn 2.50-2.64
Cu3 0.3784 0.3951 0.6068  4 Zn 2.50-2.64
Cu4 0.8784 0.1049 0.3932  4 Zn 2.50-2.64
Cu5 0.6216 0.6049 0.3932  4 Zn 2.50-2.64
Cu6 0.1216 0.8951 0.8932  4 Zn 2.50-2.64
Cu7 0.6216 0.6049 0.1068  4 Zn 2.50-2.64
Cu8 0.1216 0.8951 0.6068  4 Zn 2.50-2.64

Output
M_tot (μB per formula unit): 0.00
SG: Pnma (62)
Volume (Å³ per atom): 21.422

--- Q ---
Entry from Alexandria: a relaxed structure of Pm3Zn3Cu2 (PBE).

Cell: 4.5152 5.5199 15.0381 Å, 90.00 90.00 114.14°
Closest atoms and distances in Å follow each position.
Element x y z (fractional)
Zn1 0.3833 0.7665 0.5401  3 Cu 2.57-2.79, 1 Zn 2.64
Zn2 0.6167 0.2335 0.4599  3 Cu 2.57-2.79, 1 Zn 2.64
Zn3 0.3173 0.6346 0.2500  2 Cu 2.56
Zn4 0.6827 0.3654 0.7500  2 Cu 2.56
Zn5 0.6167 0.2335 0.0401  3 Cu 2.57-2.79, 1 Zn 2.64
Zn6 0.3833 0.7665 0.9599  3 Cu 2.57-2.79, 1 Zn 2.64